It remains to transcribe the contents below from the line with "2.082441)" to the end unchanged.

┌──
No. 1
C36H43ClIIrN2O2PS3 as an isolated structure, computed with the ωB97M-V functional and the def2-TZVPD basis.

The HOMO-LUMO gap is 7.0 eV. Its energy relative to the best compared isomer or geometry (same formula, charge and spin) is 11.1 kJ/mol. The calculation puts the total energy at -110357.7970 eV. Its net charge is +1. The LUMO energy comes out at -0.1216 Eh.

Cartesian coordinates (Å):
Ir (-0.224522, -0.588009, 0.247254)
Cl (-3.658374, -4.823189, 4.372573)
C (-2.627644, -3.583920, 3.745328)
C (-1.776337, -2.915557, 4.580040)
C (-0.898310, -1.926070, 4.095323)
I (0.417490, -0.995936, 5.397272)
C (-0.883277, -1.595189, 2.759119)
O (-0.078781, -0.692252, 2.228417)
C (-1.799539, -2.267018, 1.907176)
N (-1.769203, -1.878894, 0.586305)
C (-2.493353, -2.542496, -0.292559)
C (-3.351090, -3.585928, 0.084385)
C (-3.453648, -3.938551, 1.399862)
C (-2.656513, -3.285146, 2.361815)
H (-1.764254, -3.162639, 5.632637)
H (-2.392898, -2.254437, -1.328011)
H (-3.925069, -4.093266, -0.677230)
H (-4.118529, -4.732281, 1.711797)
O (1.697015, -0.761184, -0.014280)
C (3.015729, -0.475165, 0.429453)
C (3.129416, 0.811951, 1.232260)
C (2.439083, 1.164746, 2.354682)
C (2.796700, 2.450509, 2.839845)
C (3.765136, 3.040642, 2.082441)
S (4.243922, 2.044478, 0.783966)
C (3.878066, -0.387862, -0.822361)
C (3.511424, 0.104770, -2.040234)
C (4.573755, 0.101232, -2.982541)
C (5.723541, -0.404699, -2.456923)
S (5.520714, -0.883700, -0.831508)
C (3.446676, -1.642647, 1.298475)
C (4.437196, -1.683537, 2.231026)
C (4.607506, -2.979219, 2.794598)
C (3.736541, -3.885224, 2.277117)
S (2.708595, -3.181436, 1.103325)
H (1.707999, 0.523144, 2.821655)
H (2.370083, 2.903195, 3.724306)
H (4.239552, 3.996651, 2.236689)
H (2.512533, 0.463358, -2.242976)
H (4.494776, 0.463507, -3.998029)
H (6.678278, -0.526533, -2.942231)
H (5.015670, -0.815191, 2.515721)
H (5.336533, -3.217124, 3.555006)
H (3.632217, -4.926604, 2.535306)
C (-0.298245, 0.857843, -4.834917)
C (-0.130814, -0.596239, -4.373852)
C (-1.283466, -1.469706, -4.889754)
C (1.223856, -1.163712, -4.816499)
C (-0.185200, -0.607623, -2.902017)
N (-0.215370, -0.614502, -1.759276)
H (-0.278625, 0.881745, -5.924487)
H (0.512371, 1.485593, -4.463943)
H (-1.250152, 1.274113, -4.501657)
H (-1.256138, -1.469844, -5.979277)
H (-2.251130, -1.081019, -4.570441)
H (-1.182994, -2.499172, -4.545641)
H (1.249715, -1.178657, -5.906160)
H (1.366646, -2.180383, -4.451584)
H (2.050674, -0.552639, -4.455045)
C (-1.729407, 1.879383, 3.091714)
C (-2.515542, 1.671249, 1.791194)
C (-3.633651, 0.640715, 1.941027)
P (-1.429046, 1.344773, 0.341475)
C (-2.469852, 1.710287, -1.153931)
C (-3.407786, 2.918373, -1.020966)
C (-3.310503, 0.528314, -1.643652)
C (-0.148694, 2.662321, 0.428769)
C (-0.687890, 4.094240, 0.500604)
C (0.869736, 2.574583, -0.702676)
H (-2.429993, 1.901702, 3.928068)
H (-1.194829, 2.829392, 3.089673)
H (-1.011478, 1.082338, 3.275507)
H (-2.982108, 2.625118, 1.529805)
H (-3.243380, -0.359010, 2.100202)
H (-4.294337, 0.616083, 1.073144)
H (-4.240296, 0.895671, 2.810864)
H (-1.711921, 1.936030, -1.912904)
H (-4.155989, 2.744844, -0.246705)
H (-3.949888, 3.039083, -1.960821)
H (-2.906830, 3.855665, -0.809088)
H (-4.318237, 0.579079, -1.230904)
H (-2.888348, -0.426607, -1.369188)
H (-3.407523, 0.563210, -2.730693)
H (0.348137, 2.440711, 1.378410)
H (-1.058595, 4.423878, -0.468302)
H (0.137726, 4.755276, 0.768714)
H (-1.472413, 4.231489, 1.245359)
H (0.412714, 2.847785, -1.659724)
H (1.316128, 1.590764, -0.795379)
H (1.678123, 3.280190, -0.511335)

Cartesian forces, eV/Å:
Ir 0.52 -0.30 0.01
Cl -0.02 0.00 0.01
C 0.01 0.00 -0.03
C 0.01 0.01 -0.01
C -0.04 -0.09 0.10
I 0.03 0.03 -0.04
C -0.09 0.08 -0.13
O 0.10 -0.16 0.30
C 0.07 0.00 -0.07
N -0.28 -0.04 0.24
C 0.01 -0.04 0.10
C 0.00 0.03 -0.06
C -0.01 -0.07 0.03
C 0.01 0.07 0.05
H 0.00 0.00 0.00
H 0.01 -0.03 -0.02
H 0.00 0.01 -0.01
H 0.00 0.01 0.00
O 0.07 0.93 -0.37
C -0.16 -0.37 0.34
C -0.12 0.08 -0.19
C 0.00 -0.01 0.02
C 0.02 0.01 0.01
C 0.00 -0.01 0.02
S -0.06 0.01 -0.06
└──

C (3.765136, 3.040642, 2.082441)
S (4.243922, 2.044478, 0.783966)
C (3.878066, -0.387862, -0.822361)
C (3.511424, 0.104770, -2.040234)
C (4.573755, 0.101232, -2.982541)
C (5.723541, -0.404699, -2.456923)
S (5.520714, -0.883700, -0.831508)
C (3.446676, -1.642647, 1.298475)
C (4.437196, -1.683537, 2.231026)
C (4.607506, -2.979219, 2.794598)
C (3.736541, -3.885224, 2.277117)
S (2.708595, -3.181436, 1.103325)
H (1.707999, 0.523144, 2.821655)
H (2.370083, 2.903195, 3.724306)
H (4.239552, 3.996651, 2.236689)
H (2.512533, 0.463358, -2.242976)
H (4.494776, 0.463507, -3.998029)
H (6.678278, -0.526533, -2.942231)
H (5.015670, -0.815191, 2.515721)
H (5.336533, -3.217124, 3.555006)
H (3.632217, -4.926604, 2.535306)
C (-0.298245, 0.857843, -4.834917)
C (-0.130814, -0.596239, -4.373852)
C (-1.283466, -1.469706, -4.889754)
C (1.223856, -1.163712, -4.816499)
C (-0.185200, -0.607623, -2.902017)
N (-0.215370, -0.614502, -1.759276)
H (-0.278625, 0.881745, -5.924487)
H (0.512371, 1.485593, -4.463943)
H (-1.250152, 1.274113, -4.501657)
H (-1.256138, -1.469844, -5.979277)
H (-2.251130, -1.081019, -4.570441)
H (-1.182994, -2.499172, -4.545641)
H (1.249715, -1.178657, -5.906160)
H (1.366646, -2.180383, -4.451584)
H (2.050674, -0.552639, -4.455045)
C (-1.729407, 1.879383, 3.091714)
C (-2.515542, 1.671249, 1.791194)
C (-3.633651, 0.640715, 1.941027)
P (-1.429046, 1.344773, 0.341475)
C (-2.469852, 1.710287, -1.153931)
C (-3.407786, 2.918373, -1.020966)
C (-3.310503, 0.528314, -1.643652)
C (-0.148694, 2.662321, 0.428769)
C (-0.687890, 4.094240, 0.500604)
C (0.869736, 2.574583, -0.702676)
H (-2.429993, 1.901702, 3.928068)
H (-1.194829, 2.829392, 3.089673)
H (-1.011478, 1.082338, 3.275507)
H (-2.982108, 2.625118, 1.529805)
H (-3.243380, -0.359010, 2.100202)
H (-4.294337, 0.616083, 1.073144)
H (-4.240296, 0.895671, 2.810864)
H (-1.711921, 1.936030, -1.912904)
H (-4.155989, 2.744844, -0.246705)
H (-3.949888, 3.039083, -1.960821)
H (-2.906830, 3.855665, -0.809088)
H (-4.318237, 0.579079, -1.230904)
H (-2.888348, -0.426607, -1.369188)
H (-3.407523, 0.563210, -2.730693)
H (0.348137, 2.440711, 1.378410)
H (-1.058595, 4.423878, -0.468302)
H (0.137726, 4.755276, 0.768714)
H (-1.472413, 4.231489, 1.245359)
H (0.412714, 2.847785, -1.659724)
H (1.316128, 1.590764, -0.795379)
H (1.678123, 3.280190, -0.511335)

Cartesian forces, eV/Å:
Ir 0.52 -0.30 0.01
Cl -0.02 0.00 0.01
C 0.01 0.00 -0.03
C 0.01 0.01 -0.01
C -0.04 -0.09 0.10
I 0.03 0.03 -0.04
C -0.09 0.08 -0.13
O 0.10 -0.16 0.30
C 0.07 0.00 -0.07
N -0.28 -0.04 0.24
C 0.01 -0.04 0.10
C 0.00 0.03 -0.06
C -0.01 -0.07 0.03
C 0.01 0.07 0.05
H 0.00 0.00 0.00
H 0.01 -0.03 -0.02
H 0.00 0.01 -0.01
H 0.00 0.01 0.00
O 0.07 0.93 -0.37
C -0.16 -0.37 0.34
C -0.12 0.08 -0.19
C 0.00 -0.01 0.02
C 0.02 0.01 0.01
C 0.00 -0.01 0.02
S -0.06 0.01 -0.06